genetically modified organisms (GMO)
- Recommendation no. 002/2016 by the National Committee (TierSchG)
Severity Assessment of genetically altered mice and rats - Version 2 (245.21 KB)
- Recommandation No. 001/2015 by the National Committee (TierSchG)
Severity assessment of genetically altered fisch (bony fish, teleost fish) (390.10 KB)
- Presentation, Kristina Plate, BfR, Berlin, Germany
A tool for rapid assessment of risk of bias (raRoB) in observational epidemiologic studies (1.76 MB)
- Presentation, Prof. Dr. med. Barbara Hoffmann MPH, Heinrich Heine University of Düsseldorf
How evidence from epidemiological studies can be used to answer causality questions: The case of air pollution -cause or correlation? (2.80 MB)
- Presentation, Barbara Doerr, Food Standards Agency, London, UK
The UK Committees on Toxicity (COT) and on Carcinogenicity (COC) of chemicals in foods, consumer products and the environment: guidance for synthesising and integration of epidemiological and toxicological evidence (623.42 KB)
- Presentation, Sander Greenland, University of California, Los Angeles, USA
Keynote 6: Proper construction and interpretation of statistics for causality assessment and policy input
- Presentation, Pierre Lebailly, Centre François Baclesse, Caen, France and University of Caen Normandy, France
Epidemiological results on pesticides and cancer, just a matter of p values and confounding? (1.74 MB)
- Presentation, Krista Y Christensen, Center for Public Health and Environmental Assessment, Washington, DC, USA
Surveying the epidemiology evidence: examples of triangulation from the IRIS program (1.28 MB)
- Presentation, Holger Schünemann, McMaster University, Hamilton, Canada and Cochrane Canada
Keynote 4: Assessing the certainty in a body of evidence for studies addressing the effect of an exposure on an outcome (7.50 MB)
- Presentation, Perrine Nadaud, French Agency for Food, Environmental and Occupational Health & Safety, Maisons-Alfort, France
Use of epidemiological studies to assess nutritional risk of vegetarian diets (1.36 MB)
- Presentation, Kyla W Taylor, National Institute of Environmental Health Sciences, Durham, USA
The OHAT approach to assessing risk-of-bias in individual epidemiological studies to support evidence integration and public health decision making (1.54 MB)
- Presentation, Sylvia Notenboom, National Institute for Public Health and the Environment (RIVM), Bilthoven, The Netherlands
Notes on the use of epidemiological and toxicological data for risk assessment (662.78 KB)
- Presentation, Klaus Abraham, BfR, Berlin, Germany
Diminished semen quality following early exposure to persistent organic pollutants (POPs) as critical effect in health risk assessment? (782.04 KB)
- Presentation, Joachim Schüz, International Agency for Research on Cancer (IARC/WHO), Lyon, France
Keynote 2: Opportunities and challenges of using epidemiological studies in health risk assessment from an IARC perspective (1.80 MB)
- Presentation, Krista Y. Christensen, US Environmental Protection Agency, Washington, DC, USA
Application feature improvements in support of human health assessments: optimisations for epidemiology data extraction (2.30 MB)
- Presentation, Erica Kintz, Food Standards Agency, London, UK
Use of epidemiological data in microbiological risk assessments: two case studies from the UK Food Standards Agency (1.35 MB)
- Presentation, Judy LaKind, LaKind Associates, LLC, Catonsville, USA and University of Maryland-School of Medicine, Baltimore, USA
Keynote 1: Epidemiology and risk assessment: reflections on working together to improve public health (901.18 KB)
- Presentation, Janice Hegewald, Federal Institute for Occupational Safety and Health (BAuA), Berlin, Germany
Good practice occupational epidemiological systematic reviews – a recommendation paper
- Presentation, Julian PT Higgins, Bristol Medical School, UK
Keynote 3: Assessing risk of bias in estimates of the effects of exposures: the ROBINS-E tool (2.30 MB)
- Presentation, Ullrika Sahlin, Lund University, Sweden
Probability bounds analysis as a way open up for semi-automatic quantification of bias terms in RoB – adjusted evidence synthesis (1.89 MB)
- Presentation, Christine L Parr, Norwegian Scientific Committee for Food and Environment (VKM), Oslo, Norway
Use of epidemiological studies in a benefit and risk assessment of fish intake by the Norwegian Scientific Committee for Food and Environment (VKM) (894.32 KB)
- Alexandra Ribarits, AGES, AT
Identification of known / unknown classical GMO and NGT products / reference materials (498.29 KB)
- Presentation Christopher Viljoen, School of Biomedical Sciences Human Molecular, ZA
Lessons learnt from capacity building in LMO detection in the Southern African Network of GM detection Laboratories (SANGL) (5.45 MB)
- Presentation Luu Minh Cuc, Institute of Agricultural Genetics, VN
Current status and challenges of GMOs development and GMO detection methods in Vietnam (929.92 KB)
- Presentation Austein McLoughlin, SCBD, CA
The Network of Laboratories for the Detection and Identification of Living Modified Organisms (952.61 KB)
- Presentation Austein McLoughlin, SCBD, CA
The Biosafety Clearing-House (1.12 MB)
- Presentation Laura Bonfini, EC-JRC
JRC GMO web applications (1.72 MB)
- Presentation Theo Prins, Wageningen Food Safety Research, NL
Global information sharing: EUginius (2.49 MB)
- Presentation Sonia Herrero, Syngenta, US
Introduction to CropLife International detection methods database (1.93 MB)
- Presentation Inácio Henrique Yano, Embrapa, BR
Prototype of Non-Genetically Modified Soybean Tracking System Using Blockchain Technology (2.34 MB)
- Presentation Jenny Teufel, Institute for Applied Ecology, DE
Alternative approaches for GMO traceability (753.71 KB)
- Presentation Raymond Shillito, BASF, US
Analytical methods for the detection of NGT products (2.83 MB)
- Presentation Margit Ross, Corteva Agriscience, US
NGT Products: Methods and Matters of Detection (1.22 MB)
- Presentation Slawomir Sowa, PBAI-NRI, PL
Challenges for the detection and identification of NGT products (1.81 MB)
- Presentation Patrick Gürtler, LGL Oberschleißheim, DE
Evaluation of methods for the unequivocal identification of single-mutations derived from NGT (2.84 MB)
- Presentation Fabrice Touzain, ANSES, FR
<<<
1.
C10H9Cl2FeNO | wB97M-V/def2-TZVPD

Results
Orbital gap (spin up / spin down)   4.47 / 5.05 eV
Relative energy (zero: lowest compared OMol25 entry of this formula, charge and spin)   1.679 eV
LUMO energy (spin up / spin down)   -0.83 / -2.58 eV
2S+1   5
Electronic energy   -2700.39005 Ha
Highest occupied orbital energy (spin up / spin down)   -5.2920 / -7.6327 eV
Maximum force   2.0 eV/A
Molecular weight   285.9 u

```
24
C10H9Cl2FeNO (wB97M-V/def2-TZVPD)
Fe -0.08 -2.17 -0.34
C -1.09 -3.86 -0.30
H -2.05 -3.60 0.16
H -1.28 -4.15 -1.34
H -0.63 -4.69 0.25
H 0.94 -3.39 0.28
H 1.31 -3.15 -0.44
Cl -2.60 1.07 -2.97
C -1.51 1.45 -1.73
C -1.08 2.75 -1.49
C -0.17 3.05 -0.49
Cl 0.30 4.68 -0.24
C 0.40 2.03 0.34
C 1.36 2.22 1.36
C 1.86 1.12 2.04
C 1.43 -0.17 1.70
N 0.56 -0.38 0.70
C -0.01 0.69 0.09
C -0.98 0.38 -0.94
O -1.29 -0.85 -1.19
H -1.48 3.55 -2.11
H 1.71 3.23 1.59
H 2.58 1.23 2.84
H 1.80 -1.05 2.23
```

Atom charges from the Löwdin analysis, given in e for atoms 1 to 6: 0.522 -0.242 -0.005 0.007 -0.019 0.086

2.
C10H9ClN | wB97M-V/def2-TZVPD

Results
Structure (SMILES)   CC1=[N+]=C2C=CC=C(Cl)[C@H]2C=C1
Orbital gap   7.06 eV
Relative energy (zero: lowest compared OMol25 entry of this formula, charge and spin)   2.405 eV
LUMO energy   -5.94 eV
Total charge   +1
Electronic energy   -901.04111 Ha
Highest occupied orbital energy   -12.9980 eV
Maximum force   4.5 eV/A
Molecular weight   178.6 u

```
21
C10H9ClN (wB97M-V/def2-TZVPD)
C 3.03 0.82 0.78
C 1.70 0.73 0.16
N 1.17 -0.51 0.18
C 0.02 -0.82 -0.30
C -0.46 -2.20 -0.09
C -1.80 -2.35 0.13
C -2.59 -1.19 0.34
C -2.20 0.07 0.13
Cl -2.97 1.60 0.23
C -0.93 0.25 -0.62
C -0.24 1.58 -0.75
C 1.10 1.76 -0.57
H 3.09 1.17 1.88
H 3.48 -0.15 1.01
H 3.62 1.52 0.10
H 0.34 -2.89 0.10
H -2.27 -3.26 0.33
H -3.67 -1.29 0.73
H -1.40 0.16 -1.60
H -0.76 2.34 -1.21
H 1.74 2.66 -0.96
```

Atom charges from the Löwdin analysis, given in e for atoms 1 to 6: -0.004 -0.245 0.187 -0.170 0.059 0.004

3.
C10H9F6N5O4SSbTi | wB97M-V/def2-TZVPD

Results
Orbital gap (spin up / spin down)   8.15 / 6.61 eV
Relative energy (zero: lowest compared OMol25 entry of this formula, charge and spin)   0.000 eV
LUMO energy (spin up / spin down)   -8.54 / -10.22 eV
2S+1   2
Total charge   +2
Electronic energy   -3047.83314 Ha
Highest occupied orbital energy (spin up / spin down)   -16.6916 / -16.8311 eV
Maximum force   0.2 eV/A
Molecular weight   578.9 u

```
37
C10H9F6N5O4SSbTi (wB97M-V/def2-TZVPD)
Ti -1.43 1.47 -0.43
N 5.39 -1.81 -0.14
C 4.11 -1.57 -0.39
C 3.11 -2.50 0.05
C 1.80 -2.25 -0.22
C 1.46 -1.08 -0.92
C 2.41 -0.15 -1.37
C 3.74 -0.39 -1.11
S -0.26 -0.83 -1.26
O -0.76 -1.93 -1.99
O -0.37 0.54 -1.88
N -0.93 -0.48 0.14
C -2.27 -0.85 0.41
N -3.01 0.26 0.30
C -4.31 0.19 0.61
C -4.84 -1.02 0.99
C -3.98 -2.12 1.03
N -2.68 -2.04 0.75
H 5.68 -2.63 0.37
H 6.11 -1.17 -0.44
H 3.41 -3.39 0.59
H 1.03 -2.94 0.10
H 2.11 0.73 -1.91
H 4.50 0.30 -1.45
H -4.89 1.10 0.54
H -5.89 -1.12 1.24
H -4.35 -3.10 1.31
F -0.98 1.92 1.47
Sb 0.67 3.13 1.40
F 1.49 1.50 0.94
>>>
Detection/characterisation of undescribed genetically modified bacteria by statistical analysis of high throughput sequencing data (1.39 MB)
- Presentation Guy Van den Eede, EC-JRC
Achievements and future perspectives of GMO detection (1.98 MB)
- Presentation Malcolm Burns, LGC-Group, UK
Analytical strategies for detection of GMOs and NGT products - status and challenges (2.15 MB)
Press releases
Detecting genetic modifications